Exercise.
The reader should echo the whole of the rows underneath without additions.
Material.
This record from OMol25 describes a 2-piece molecular cluster, C8H6N2O2 overall. The level of theory is the ωB97M-V functional and the def2-TZVPD basis.

Values from the calculation:
HOMO energy (eV): -9.4
Maximum force (eV/Å): 4.0
SMILES string: C=C1C/C1=N\C=O.C#CC#[N+][O-]
Lowest unoccupied orbital energy (eV): -0.5755
Molar mass (g mol⁻¹): 162.1
Energy (Eh): -568.1059

Last column: Löwdin charge in e.
Element x y z (Å)
C (-1.69386, 0.76610, -0.55625)  0.039
C (-1.05452, -0.40595, -0.45301)  -0.212
C (-1.00259, -1.95895, -0.67984)  0.010
C (0.06612, -1.19261, -0.01207)  -0.262
N (1.20199, -1.12701, 0.42799)  0.192
C (2.14962, -1.87896, 0.93672)  -0.390
O (3.20985, -2.12030, 0.41809)  0.030
H (-2.72637, 0.97414, -1.17158)  0.109
H (-1.18164, 1.81054, -0.35770)  0.084
H (-1.79029, -2.48898, -0.12929)  0.105
H (-0.90007, -2.15587, -1.81765)  0.145
H (2.02976, -2.13010, 2.09296)  0.163
C (2.01486, 2.74497, 1.21495)  0.127
C (2.94348, 2.13888, 0.65622)  -0.114
C (4.00836, 1.60300, -0.00095)  -0.022
N (4.71346, 0.82463, -0.50901)  -0.097
O (5.48087, 0.10336, -1.06014)  0.067
H (1.01995, 3.00832, 1.48770)  0.024

Cartesian forces (eV/Å) of the 6 atoms listed first:
-0.72 2.03 -1.94
-0.26 0.12 0.11
-1.48 1.14 -1.86
-1.50 0.67 -1.15
-0.29 1.41 0.61
2.10 -1.42 2.80

This record from OMol25 describes C8H6N2O2 as an isolated structure. The level of theory is the ωB97M-V functional and the def2-TZVPD basis.

Values from the calculation:
HOMO energy (eV): -9.3
Maximum force (eV/Å): 4.8
Lowest unoccupied orbital energy (eV): -0.6924
Molar mass (g mol⁻¹): 162.1
Energy (Eh): -568.3325

Last column: Löwdin charge in e.
Element x y z (Å)
C (-0.47652, 0.26802, -2.70891)  -0.188
C (-1.08981, -2.05833, -1.30419)  -0.163
C (-0.00563, -0.08315, 1.73764)  -0.015
C (0.90426, 0.48349, 0.94349)  -0.047
C (-1.19023, -0.81270, 1.24122)  -0.182
C (0.99668, 0.20224, -0.49226)  -0.119
C (-0.41148, 0.33097, -1.22362)  -0.190
C (-1.42612, -0.77715, -0.72423)  -0.386
N (-0.61804, 0.17209, -3.86353)  0.169
N (-0.97017, -3.15781, -1.63529)  0.194
O (-2.14665, -1.22008, 1.83082)  0.122
O (-2.67247, -0.27473, -0.79954)  0.040
H (-0.11656, 0.07264, 2.74308)  0.086
H (1.69172, 1.15491, 1.38898)  0.142
H (1.63384, 0.79177, -1.05633)  0.094
H (1.42508, -0.77472, -0.60475)  0.128
H (-0.82651, 1.34542, -1.11765)  0.159
H (-3.34045, -1.00590, -0.77405)  0.154

Cartesian forces (eV/Å) of the 6 atoms listed first:
0.60 -0.62 -1.87
-0.83 -1.03 0.28
-0.77 -0.36 -2.06
0.75 0.67 1.28
-0.81 -0.43 -2.96
-2.34 -0.64 -1.36

This record from OMol25 describes a 2-piece molecular cluster, C8H6N2O2S overall. The level of theory is the ωB97M-V functional and the def2-TZVPD basis.

Values from the calculation:
HOMO energy (alpha / beta) (eV): -9.1 / -7.4
Maximum force (eV/Å): 4.0
Lowest unoccupied orbital energy (alpha / beta) (eV): 0.1291 / -1.9517
Molar mass (g mol⁻¹): 194.2
Energy (Eh): -966.4891

Last column: Löwdin charge in e.
Element x y z (Å)
C (-0.23708, 2.76399, 0.14566)  -0.060
C (-0.99547, 2.12899, -0.84429)  -0.099
C (0.45930, 1.91812, 1.06973)  -0.008
C (-1.24975, 0.75566, -0.86119)  -0.033
C (0.43973, -1.56644, 1.22130)  -0.161
C (0.25705, 0.56026, 1.03404)  -0.279
C (-0.59588, -0.00665, 0.03968)  -0.228
C (-1.34777, -2.32719, -0.28327)  -0.203
N (0.88835, -0.46548, 1.72509)  0.131
N (-0.61882, -1.38663, 0.28769)  0.020
O (1.97472, -2.55857, -0.76857)  -0.517
O (-2.32380, -2.67018, -0.84393)  0.127
S (2.27129, -0.93327, -1.13868)  0.742
H (-0.06426, 3.83726, 0.11314)  0.100
H (-1.37335, 2.71786, -1.69453)  0.108
H (1.19293, 2.30098, 1.76789)  0.110
H (-2.18200, 0.40102, -1.41899)  0.148
H (0.71505, -2.55252, 1.51124)  0.123
H (2.78975, -2.91720, -1.06201)  -0.022

Cartesian forces (eV/Å) of the 6 atoms listed first:
1.01 -1.81 -0.03
-0.09 1.02 -0.32
-0.36 1.13 -0.28
-2.54 0.35 -1.02
-0.76 0.65 0.77
-0.48 -0.45 -1.78
Worked solution.
This record from OMol25 describes a 2-piece molecular cluster, C8H6N2O2 overall. The level of theory is the ωB97M-V functional and the def2-TZVPD basis.

Values from the calculation:
HOMO energy (eV): -9.4
Maximum force (eV/Å): 4.0
SMILES string: C=C1C/C1=N\C=O.C#CC#[N+][O-]
Lowest unoccupied orbital energy (eV): -0.5755
Molar mass (g mol⁻¹): 162.1
Energy (Eh): -568.1059

Last column: Löwdin charge in e.
Element x y z (Å)
C (-1.69386, 0.76610, -0.55625)  0.039
C (-1.05452, -0.40595, -0.45301)  -0.212
C (-1.00259, -1.95895, -0.67984)  0.010
C (0.06612, -1.19261, -0.01207)  -0.262
N (1.20199, -1.12701, 0.42799)  0.192
C (2.14962, -1.87896, 0.93672)  -0.390
O (3.20985, -2.12030, 0.41809)  0.030
H (-2.72637, 0.97414, -1.17158)  0.109
H (-1.18164, 1.81054, -0.35770)  0.084
H (-1.79029, -2.48898, -0.12929)  0.105
H (-0.90007, -2.15587, -1.81765)  0.145
H (2.02976, -2.13010, 2.09296)  0.163
C (2.01486, 2.74497, 1.21495)  0.127
C (2.94348, 2.13888, 0.65622)  -0.114
C (4.00836, 1.60300, -0.00095)  -0.022
N (4.71346, 0.82463, -0.50901)  -0.097
O (5.48087, 0.10336, -1.06014)  0.067
H (1.01995, 3.00832, 1.48770)  0.024

Cartesian forces (eV/Å) of the 6 atoms listed first:
-0.72 2.03 -1.94
-0.26 0.12 0.11
-1.48 1.14 -1.86
-1.50 0.67 -1.15
-0.29 1.41 0.61
2.10 -1.42 2.80

This record from OMol25 describes C8H6N2O2 as an isolated structure. The level of theory is the ωB97M-V functional and the def2-TZVPD basis.

Values from the calculation:
HOMO energy (eV): -9.3
Maximum force (eV/Å): 4.8
Lowest unoccupied orbital energy (eV): -0.6924
Molar mass (g mol⁻¹): 162.1
Energy (Eh): -568.3325

Last column: Löwdin charge in e.
Element x y z (Å)
C (-0.47652, 0.26802, -2.70891)  -0.188
C (-1.08981, -2.05833, -1.30419)  -0.163
C (-0.00563, -0.08315, 1.73764)  -0.015
C (0.90426, 0.48349, 0.94349)  -0.047
C (-1.19023, -0.81270, 1.24122)  -0.182
C (0.99668, 0.20224, -0.49226)  -0.119
C (-0.41148, 0.33097, -1.22362)  -0.190
C (-1.42612, -0.77715, -0.72423)  -0.386
N (-0.61804, 0.17209, -3.86353)  0.169
N (-0.97017, -3.15781, -1.63529)  0.194
O (-2.14665, -1.22008, 1.83082)  0.122
O (-2.67247, -0.27473, -0.79954)  0.040
H (-0.11656, 0.07264, 2.74308)  0.086
H (1.69172, 1.15491, 1.38898)  0.142
H (1.63384, 0.79177, -1.05633)  0.094
H (1.42508, -0.77472, -0.60475)  0.128
H (-0.82651, 1.34542, -1.11765)  0.159
H (-3.34045, -1.00590, -0.77405)  0.154

Cartesian forces (eV/Å) of the 6 atoms listed first:
0.60 -0.62 -1.87
-0.83 -1.03 0.28
-0.77 -0.36 -2.06
0.75 0.67 1.28
-0.81 -0.43 -2.96
-2.34 -0.64 -1.36

This record from OMol25 describes a 2-piece molecular cluster, C8H6N2O2S overall. The level of theory is the ωB97M-V functional and the def2-TZVPD basis.

Values from the calculation:
HOMO energy (alpha / beta) (eV): -9.1 / -7.4
Maximum force (eV/Å): 4.0
Lowest unoccupied orbital energy (alpha / beta) (eV): 0.1291 / -1.9517
Molar mass (g mol⁻¹): 194.2
Energy (Eh): -966.4891

Last column: Löwdin charge in e.
Element x y z (Å)
C (-0.23708, 2.76399, 0.14566)  -0.060
C (-0.99547, 2.12899, -0.84429)  -0.099
C (0.45930, 1.91812, 1.06973)  -0.008
C (-1.24975, 0.75566, -0.86119)  -0.033
C (0.43973, -1.56644, 1.22130)  -0.161
C (0.25705, 0.56026, 1.03404)  -0.279
C (-0.59588, -0.00665, 0.03968)  -0.228
C (-1.34777, -2.32719, -0.28327)  -0.203
N (0.88835, -0.46548, 1.72509)  0.131
N (-0.61882, -1.38663, 0.28769)  0.020
O (1.97472, -2.55857, -0.76857)  -0.517
O (-2.32380, -2.67018, -0.84393)  0.127
S (2.27129, -0.93327, -1.13868)  0.742
H (-0.06426, 3.83726, 0.11314)  0.100
H (-1.37335, 2.71786, -1.69453)  0.108
H (1.19293, 2.30098, 1.76789)  0.110
H (-2.18200, 0.40102, -1.41899)  0.148
H (0.71505, -2.55252, 1.51124)  0.123
H (2.78975, -2.91720, -1.06201)  -0.022

Cartesian forces (eV/Å) of the 6 atoms listed first:
1.01 -1.81 -0.03
-0.09 1.02 -0.32
-0.36 1.13 -0.28
-2.54 0.35 -1.02
-0.76 0.65 0.77
-0.48 -0.45 -1.78